
Lesson 327 - Junior

Memory Verse

"Thanks be to God, which giveth us the victory through our Lord Jesus Christ" (I Corinthians 15:57).


Paul's Message to Corinth

The Books of First and Second Corinthians, called Epistles, are letters, which were written by Paul the Apostle to the church in the city of Corinth, Greece. Paul had spent more than a year and a half in this city preaching, first to the Jews and then to the Gentiles, at the time this church was founded. Corinth was the capital of the province and a branch of the seat of the Roman government. It was a very wicked city and its people indulged in many sins. As if death were the end of everything, they had adopted the Epicurean motto, "let us eat and drink; for tomorrow we die" [1CO:15:32]). It has been said that if men can but persuade themselves that they will die like beasts, they soon will live like beasts, too. The people in heathen Corinth needed to have it proved to them that death is not the end of everything, and Paul was the man chosen by God to bear this important message. However, not only to those people, but to millions today this message is still going out through God's Word. A great many people today live in sin and do not fear the wrath of God that shall some day come upon evildoers. "For God shall bring every work into judgement, with every secret thing, whether it be good, or whether it be evil" [ECC:12:14]). Death is not the end of everything, for "it is appointed unto men once to die, but after this the judgement" [HEB:9:27]).

"They That Are Christ's"

Paul pointed out the fact that Christ was the first to rise from the dead with a glorified body; therefore He is called "the firstborn from the dead" [COL:1:18]). Some day the godly who died in Christ shall rise from the grave, and then those who are alive and who are full overcomers "shall be caught up together with them in the clouds, to meet the Lord in the air" [1TS:4:16-17]). Christ's own "flock" shall share His glory at His coming, but this is not to be confused with the "end" of the world, of final judgement. (See [REV:20:11-15].) All shall rise again, but let us not think that all shall be save, for some shall rise "to everlasting life, and some to shame and everlasting contempt" [DAN:12:2]). There shall be a final resurrection of the unjust; however, in this chapter the final resurrection, or end of the world is not discussed. It is acknowledged, however, and referred to in the following words: "Then cometh the end" [1CO:15:24]). No, not even those who went to their graves thinking they might "get by" the judgements of God without having been born again are mentioned here. Paul is speaking in this chapter of the glorious resurrection of them "that are Christ's." Christ died for our sins and was buried, and rose again the third day [1CO:15:3-4]); and there is no name given under Heaven whereby we must be saved, but the name of Jesus [ACT:4:12]). Let no one thing that good works alone will give him a share in that everlasting life; let no one hope to share in the glories of Heaven without having repented of his sins and having the Blood of Jesus atone for him.

"Sown in Weakness"

When God created Adam He made him from the dust of the earth -" the name Adam means red earth. God said to him, "Dust thou art, and unto dust shalt thou return" [GEN:3:19]). In this fifteenth chapter, Paul is proving to saints and sinners that Christ rose from the dead and that some day there shall be a resurrection of all who have gone to the grave and whose bodies may have returned to dust. Paul compares this great fact with seed that is sown in the ground. What a delightful word to use instead of buried! Just as a seed that is sown in the ground dies and then a brand new plant or blade springs from that seed, so it is when a saint of God is laid away in the grave. His body goes back to dust, but when that last trumpet sounds, a new, immortal, glorified body will come out of the grave. What a glorious hope the Christian has! The new body can never die or become sick or weak. "It is sown in corruption . . . in dishonour . . . in weakness . . . a natural body"; but "It is raised in incorruption . . . in glory . . . in power . . . a spiritual body" [1CO:15:42-44]).

The Firstfruits and the Harvest

Under the Law, the people were expected to bring unto the Lord the firstfruits of their substance: the oxen, sheep, corn, wine, oil, and the fleece of the sheep [DEU:18:3];[DEU:18:4]). The firstfruits are just a sample or small portion of the rest of the harvest that is to follow. So Christ, the bringer of life, is the Firstfruits of the resurrected dead. Just as Adam was the bringer of death, so Christ is the bringer of life. "For as in Adam all die, even so in Christ shall all be made alive" [1CO:15:22]). Paul states that "Christ died for our sins according to the scriptures; and that he was buried, and that he rose again the third day according to the scriptures" [1CO:15:3-4]). Everything came to pass that had been written by prophets of old concerning Jesus. So sure is God's Word that no truth concerning Christ's death, burial and resurrection, or His second coming, or any other passage of Scripture, should ever be questioned. In addition to the account of the resurrection given by the writers of the Gospels, the names of many eyewitnesses are mentioned in the Bible, which include Paul himself, although he says, "I am the least of the apostles, . . . I persecuted the church of God" [1CO:15:9]). It seems that he could hardly forgive himself at the thought of his past sins.


"But some man will say, How are the dead raised up? And with what body do they come?" [1CO:15:35]). Paul answers this question by calling the people fools; and truly it is folly to deny a fact just because one does not know "how." Some people measure God's power by their own petty wisdom or ability and will not admit anything they cannot explain. Let us be among those who have not seen and yet have believed [JHN:20:29]). The Prophet Ezekiel was once carried by the Spirit of the Lord into a valley, which was full of very dry bones. The Spirit asked him, "Can these bones live?" [EZE:37:3]). Ezekiel answered and said, "O Lord GOD, thou knowest." We may read the story and learn that God put sinew and flesh and skin upon the bones, and then the wind came and breathed upon them and they lived " "an exceeding great army." This vision was given to prove to Ezekiel and to us, too, the power of God to do the thing, which seems absolutely impossible.

Our Hope

An exceedingly loud blast of the trumpet had been the voice, which preceded the voice of God when the Law was given to the people at Mount Sinai. "The voice of the trumpet sounded long, and waxed louder and louder," and great fear struck the hearts of those who heard that trumpet [EXO:19:16-19]). A last trumpet shall some day sound, and at the voice of that trumpet the bodies of the righteous dead shall come out of the graves and the bodies of the living saints shall be changed into immortal, glorified bodies [1CO:15:52-53]). The men, women, boys, and girls who have been truly saved, sanctified, and baptized with the Holy Ghost and fire, and who are living a life pleasing to God, are looking forward with joy to the time when Jesus shall come. No fear is to be found in the hearts of those who are ready to "meet the Lord in the air" and, together with the saints who have risen from the graves, shall "ever be with the Lord" [1TS:4:17]). Should Jesus tarry and some who are alive today go to the grave, even that thought holds no dread for the overcomers, for death has lost its "sting." They shall rise again on the resurrection day. So "whether we wake or sleep, we should live together with him" [1TS:5:10]). A glorious, inspiring hope!

These crystal structures were left in the text by mistake:
First-principles (r2SCAN) data for an optimized crystal structure of La3Er, as listed in the Materials Project database.

a = 5.198 Å, b = 5.198 Å, c = 10.503 Å
α = 90.00°, β = 90.00°, γ = 90.00°
Space group I4/mmm (No. 139)
Inequivalent atoms, fractional coordinates:
La: 0.000 0.000 0.000 x2
La: 0.000 0.500 0.250 x4
Er: 0.000 0.000 0.500 x2

Output
Formation enthalpy at 0 K = 0.03 eV/atom

=====

First-principles (r2SCAN) data for an optimized crystal structure of LaErMg2, as listed in the Materials Project database.

a = 7.723 Å, b = 7.723 Å, c = 7.723 Å
α = 90.00°, β = 90.00°, γ = 90.00°
Space group Fm-3m (No. 225)
Inequivalent atoms, fractional coordinates:
La: 0.000 0.000 0.000 x4
Er: 0.000 0.000 0.500 x4
Mg: 0.250 0.250 0.250 x8

Output
Formation enthalpy at 0 K = -0.09 eV/atom

=====

First-principles (r2SCAN) data for an optimized crystal structure of LaErS3, as listed in the Materials Project database.

a = 11.076 Å, b = 4.002 Å, c = 21.610 Å
α = 90.00°, β = 101.32°, γ = 90.00°
Space group P2_1/m (No. 11)
Inequivalent atoms, fractional coordinates:
La: 0.092 0.250 0.365 x2
La: 0.200 0.250 0.036 x2
La: 0.301 0.750 0.734 x2
La: 0.310 0.250 0.234 x2
Er: 0.028 0.250 0.850 x2
Er: 0.181 0.250 0.547 x2
Er: 0.447 0.250 0.917 x2
Er: 0.478 0.750 0.413 x2
S: 0.036 0.250 0.230 x2
S: 0.057 0.750 0.943 x2
S: 0.087 0.750 0.465 x2
S: 0.125 0.250 0.662 x2
S: 0.205 0.750 0.135 x2
S: 0.253 0.750 0.328 x2
S: 0.254 0.250 0.825 x2
S: 0.343 0.750 0.598 x2
S: 0.358 0.750 0.986 x2
S: 0.366 0.250 0.465 x2
S: 0.456 0.250 0.134 x2
S: 0.492 0.250 0.720 x2

Output
Formation enthalpy at 0 K = -2.46 eV/atom

=====

First-principles (r2SCAN) data for an optimized crystal structure of La10Er9S27, as listed in the Materials Project database.

a = 3.936 Å, b = 15.026 Å, c = 18.889 Å
α = 99.18°, β = 95.98°, γ = 97.52°
Space group P1 (No. 1)
Inequivalent atoms, fractional coordinates:
La: 0.000 0.000 0.000 x1
La: 0.007 0.305 0.711 x1
La: 0.074 0.234 0.915 x1
La: 0.204 0.520 0.888 x1
La: 0.244 0.162 0.327 x1
La: 0.373 0.448 0.300 x1
La: 0.439 0.376 0.505 x1
La: 0.449 0.682 0.216 x1
La: 0.642 0.887 0.399 x1
La: 0.805 0.794 0.817 x1
Er: 0.057 0.648 0.468 x1
Er: 0.064 0.932 0.195 x1
Er: 0.386 0.750 0.021 x1
Er: 0.388 0.033 0.747 x1
Er: 0.620 0.558 0.684 x1
Er: 0.680 0.222 0.136 x1
Er: 0.723 0.840 0.608 x1
Er: 0.770 0.459 0.079 x1
Er: 0.827 0.124 0.531 x1
S: 0.030 0.447 0.615 x1
S: 0.053 0.815 0.292 x1
S: 0.137 0.113 0.160 x1
S: 0.169 0.834 0.507 x1
S: 0.204 0.644 0.766 x1
S: 0.225 0.341 0.108 x1
S: 0.243 0.037 0.449 x1
S: 0.276 0.847 0.709 x1
S: 0.313 0.569 0.055 x1
S: 0.395 0.867 0.923 x1
S: 0.416 0.234 0.600 x1
S: 0.503 0.214 0.793 x1
S: 0.511 0.927 0.093 x1
S: 0.515 0.659 0.374 x1
S: 0.569 0.145 0.994 x1
S: 0.608 0.441 0.777 x1
S: 0.611 0.654 0.572 x1
S: 0.650 0.013 0.287 x1
S: 0.664 0.387 0.940 x1
S: 0.785 0.294 0.275 x1
S: 0.798 0.669 0.928 x1
S: 0.834 0.027 0.644 x1
S: 0.839 0.240 0.439 x1
S: 0.879 0.537 0.222 x1
S: 0.930 0.022 0.842 x1
S: 0.939 0.754 0.122 x1

1. By whom was Christ seen after He rose from the dead? 2. What other proof have we that He did rise from the dead? 3. What is the meaning of "firstfruits"? 4. How does death compare with seed that is planted? 5. What will happen to the redeemed ones at the sound of the trumpet? 6. What is it that is called "the sting of death"? Explain. 7. What awaits the Christian after death? What awaits the sinner? 8. What do you think would be our condition if Christ had not risen from the dead? 9. What is the all-important thing for us to do?